Request.
Print the block further down from the line with "_symmetry_Int_Tables_number" to the end without additions.

Given.
<<<
Calculated XRD peak list of Mn2BO4 for CuKα, from a crystal structure in Alexandria, relaxed with PBE+U.
Intensities are scaled so that the largest is 100.

Largest 6 diffraction maxima, low angle first, 2θ from 10° to 80°:
| d [Å] | two_theta | I_rel | index |
| --- | --- | --- | --- |
| 4.233 | 20.99 | 33 | 0 1 2 |
| 2.987 | 29.92 | 37 | 0 1 3 |
| 2.731 | 32.80 | 100 | 1 2 -1 |
| 2.654 | 33.78 | 21 | 0 3 2 |
| 2.631 | 34.08 | 39 | 0 2 3 |
| 1.866 | 48.80 | 19 | 1 3 2 |

Atomic structure:
abc: 3.315 9.633 9.956
angles: 90.00 108.80 90.00
Element x y z (fractional)
Mn (0.095, 0.097, 0.321)
Mn (0.095, 0.403, 0.821)
Mn (0.290, 0.618, 0.562)
Mn (0.290, 0.882, 0.062)
Mn (0.710, 0.118, 0.938)
Mn (0.710, 0.382, 0.438)
Mn (0.905, 0.597, 0.179)
Mn (0.905, 0.903, 0.679)
B (0.432, 0.170, 0.633)
B (0.432, 0.330, 0.133)
B (0.568, 0.670, 0.867)
B (0.568, 0.830, 0.367)
O (0.104, 0.511, 0.387)
O (0.104, 0.989, 0.887)
O (0.352, 0.242, 0.505)
O (0.352, 0.258, 0.005)
O (0.360, 0.031, 0.631)
O (0.360, 0.469, 0.131)
O (0.422, 0.741, 0.737)
O (0.422, 0.759, 0.237)
O (0.578, 0.241, 0.763)
O (0.578, 0.259, 0.263)
O (0.640, 0.531, 0.869)
O (0.640, 0.969, 0.369)
O (0.648, 0.742, 0.995)
O (0.648, 0.758, 0.495)
O (0.896, 0.011, 0.113)
O (0.896, 0.489, 0.613)

=====

Structure and theoretical powder diffraction line list of ScH3Pd6 (a structure optimized by DFT (PBE); Cu Ka).

Peak list (10 most intense, 10° ≤ 2θ ≤ 80°, sorted by position)
- hkl 1 0 0, 20.40 deg, I = 48
- hkl 1 1 -2, 36.28 deg, I = 51
- hkl 0 0 2, 36.44 deg, I = 20
- hkl 2 -2 0, 38.84 deg, I = 76
- hkl -1 1 2, 41.13 deg, I = 100
- hkl 2 0 -2, 41.22 deg, I = 47
- hkl 2 0 0, 41.49 deg, I = 93
- hkl 1 -1 2, 41.81 deg, I = 49
- hkl 4 -2 0, 72.36 deg, I = 17
- hkl 3 -1 2, 79.47 deg, I = 18

Atomic structure:
```
data_ScH3Pd6
_symmetry_space_group_name_H-M 'P 1'
_symmetry_Int_Tables_number 1
_cell_length_a 5.4472
_cell_length_b 5.4555
_cell_length_c 5.6975
_cell_angle_alpha 104.48
_cell_angle_beta 106.02
_cell_angle_gamma 116.62
loop_
_symmetry_equiv_pos_as_xyz
'x,y,z'
loop_
_atom_site_label
_atom_site_type_symbol
_atom_site_fract_x
_atom_site_fract_y
_atom_site_fract_z
_atom_site_occupancy
Sc1 Sc 0.0000 0.0000 0.0000 1
H1 H 0.3191 0.6712 0.9889 1
H2 H 0.4643 0.1870 0.6480 1
H3 H 0.7610 0.5780 0.3436 1
Pd1 Pd 0.0025 0.9846 0.4866 1
Pd2 Pd 0.4214 0.9014 0.8139 1
Pd3 Pd 0.4229 0.9051 0.3260 1
Pd4 Pd 0.4963 0.4822 0.4867 1
Pd5 Pd 0.5149 0.4766 0.9930 1
Pd6 Pd 0.9146 0.3956 0.8116 1
```

=====

[1]
For K2Li4UO6, DFT lattice parameters and positions (GGA-PBE) gives the simulated X-ray diffraction stick pattern in this record (a wavelength of 1.5418 Å).

Atomic structure:
Cell: 6.1212 6.1212 5.6737 Å, 90.00 90.00 120.00°
Space group P-3m1 (No. 164)
Inequivalent atoms, fractional coordinates:
K 0.3333 0.6667 0.0302 (multiplicity 2)
Li 0.0000 0.0000 0.0000 (multiplicity 1)
Li 0.0000 0.5000 0.5000 (multiplicity 3)
U 0.0000 0.0000 0.5000 (multiplicity 1)
O 0.1635 0.3271 0.7051 (multiplicity 6)

Top 12 peaks for 10 to 80 degrees two-theta, in order of rising 2θ:
h k l, 2θ (°), d (Å), I_rel
0 0 1, 15.62, 5.674, 194
1 0 0, 16.72, 5.301, 618
0 1 1, 22.96, 3.873, 1000
1 1 0, 29.18, 3.061, 303
0 1 2, 35.90, 2.501, 149
0 2 1, 37.45, 2.401, 326
1 1 2, 43.50, 2.081, 292
0 2 2, 46.91, 1.937, 140
1 2 1, 48.16, 1.889, 279
1 0 3, 51.29, 1.781, 101
0 3 2, 61.86, 1.500, 100
3 1 1, 65.59, 1.423, 112

[2]
For UH2O4, DFT lattice parameters and positions (GGA-PBE) gives the simulated X-ray diffraction stick pattern in this record (a wavelength of 1.5418 Å).

Atomic structure:
Cell: 4.2566 10.4074 6.9533 Å, 90.00 90.00 90.00°
Space group Cmce (No. 64)
Inequivalent atoms, fractional coordinates:
U 0.0000 0.0000 0.0000 (multiplicity 4)
H 0.0000 0.1644 0.3660 (multiplicity 8)
O 0.0000 0.0695 0.3524 (multiplicity 8)
O 0.0000 0.1625 0.9052 (multiplicity 8)

Top 12 peaks for 10 to 80 degrees two-theta, in order of rising 2θ:
h k l, 2θ (°), d (Å), I_rel
0 2 0, 17.04, 5.204, 732
0 0 2, 25.62, 3.477, 278
1 1 1, 25.99, 3.428, 1000
>>>

Response.
_symmetry_Int_Tables_number 1
_cell_length_a 5.4472
_cell_length_b 5.4555
_cell_length_c 5.6975
_cell_angle_alpha 104.48
_cell_angle_beta 106.02
_cell_angle_gamma 116.62
loop_
_symmetry_equiv_pos_as_xyz
'x,y,z'
loop_
_atom_site_label
_atom_site_type_symbol
_atom_site_fract_x
_atom_site_fract_y
_atom_site_fract_z
_atom_site_occupancy
Sc1 Sc 0.0000 0.0000 0.0000 1
H1 H 0.3191 0.6712 0.9889 1
H2 H 0.4643 0.1870 0.6480 1
H3 H 0.7610 0.5780 0.3436 1
Pd1 Pd 0.0025 0.9846 0.4866 1
Pd2 Pd 0.4214 0.9014 0.8139 1
Pd3 Pd 0.4229 0.9051 0.3260 1
Pd4 Pd 0.4963 0.4822 0.4867 1
Pd5 Pd 0.5149 0.4766 0.9930 1
Pd6 Pd 0.9146 0.3956 0.8116 1
```

=====

[1]
For K2Li4UO6, DFT lattice parameters and positions (GGA-PBE) gives the simulated X-ray diffraction stick pattern in this record (a wavelength of 1.5418 Å).

Atomic structure:
Cell: 6.1212 6.1212 5.6737 Å, 90.00 90.00 120.00°
Space group P-3m1 (No. 164)
Inequivalent atoms, fractional coordinates:
K 0.3333 0.6667 0.0302 (multiplicity 2)
Li 0.0000 0.0000 0.0000 (multiplicity 1)
Li 0.0000 0.5000 0.5000 (multiplicity 3)
U 0.0000 0.0000 0.5000 (multiplicity 1)
O 0.1635 0.3271 0.7051 (multiplicity 6)

Top 12 peaks for 10 to 80 degrees two-theta, in order of rising 2θ:
h k l, 2θ (°), d (Å), I_rel
0 0 1, 15.62, 5.674, 194
1 0 0, 16.72, 5.301, 618
0 1 1, 22.96, 3.873, 1000
1 1 0, 29.18, 3.061, 303
0 1 2, 35.90, 2.501, 149
0 2 1, 37.45, 2.401, 326
1 1 2, 43.50, 2.081, 292
0 2 2, 46.91, 1.937, 140
1 2 1, 48.16, 1.889, 279
1 0 3, 51.29, 1.781, 101
0 3 2, 61.86, 1.500, 100
3 1 1, 65.59, 1.423, 112

[2]
For UH2O4, DFT lattice parameters and positions (GGA-PBE) gives the simulated X-ray diffraction stick pattern in this record (a wavelength of 1.5418 Å).

Atomic structure:
Cell: 4.2566 10.4074 6.9533 Å, 90.00 90.00 90.00°
Space group Cmce (No. 64)
Inequivalent atoms, fractional coordinates:
U 0.0000 0.0000 0.0000 (multiplicity 4)
H 0.0000 0.1644 0.3660 (multiplicity 8)
O 0.0000 0.0695 0.3524 (multiplicity 8)
O 0.0000 0.1625 0.9052 (multiplicity 8)

Top 12 peaks for 10 to 80 degrees two-theta, in order of rising 2θ:
h k l, 2θ (°), d (Å), I_rel
0 2 0, 17.04, 5.204, 732
0 0 2, 25.62, 3.477, 278
1 1 1, 25.99, 3.428, 1000